March  5, 2025


Canadian Annual Symposium on Operator Algebras and their Applications (COSy)

May 27-31, 2013

Location: Bahen Building, 40 St. George St. Room 1180

Map to Bahen Building
Man-Duen Choi (Toronto), George Elliott (Toronto),
Ilijas Farah (York), Thierry Giordano (Ottawa)
Registration on site
Fees: $300, Postdocs $100, Students $50
Fees include Symposium materials, coffee breaks and refreshments and the Symposium Dinner on May 29
in Toronto
Summer Housing

The theory of operator algebras and operator theory has held a significant place in the Canadian mathematical community for many years. One of the centrepieces of the field in Canada has been the Canadian Operator Symposium (COSy). Founded by Israel Halperin in the early 1970’s, the meeting will be held for the 41st time in Toronto.
The overall goals of the meeting are:

  • to bring in international leaders in the field to explain the most topical recent developments to the Canadian community,
  • to highlight the current research activities of the leaders within Canada and,
  • to provide a resource for young researchers - graduate students, post-doctoral fellows and young faculty.

Confirmed Speakers:

Berndt Brenken, University of Calgary
Dietmar Bisch, Vanderbilt University
Nathanial P. Brown, Penn State University
Marius Dadarlat, Purdue University
Soren Eilers, University of Copenhagen
David Evans, Cardiff University
Farzad Fathizadeh
, University of Western Ontario
David Handelman
, University of Ottawa
Bradd Hart
, McMaster University
Matt Kennedy, Carleton University
David Kribs, University of Guelph
Marcelo Laca, University of Victoria
Jamie Mingo, Queen's University
Zhuang Niu, University of Wyoming, Memorial University of Newfoundland (on leave)
Ping Wong Ng, University of Louisiana at Lafayette
Dave Penneys, University of Toronto
Mikael Pichot, McGill University
Sarah Reznikoff, Kansas State University
Leonel Robert, University of Louisiana at Lafayette
Zhong-Jin Ruan, UIUC
Luis Santiago, University of Oregon
Aaron Tikuisis, University of Aberdeen
Andrew Toms, Purdue University
Dilian Yang, University of Windsor


May 27, 2013
BA 1180
Map to Bahen Building
9:30-10:15 David Evans
The search for the exotic - subfactors and conformal field theories
10:15-10:45 Coffee
10:45-11:30 Zhong-Jin Ruan
Multipliers of Locally Compact Quantum Groups
11:45-12:30 David Handelman
Realizing dimension groups, good measures, and Toeplitz actions
12:30-2:00 Lunch
  BA 1180
Map to Bahen Building
2:00-2:45 Sarah Reznikoff
A new uniqueness theorem for k-graphs
2:45-3:15 Coffee
  BA 1180
Map to Bahen Building
BA 1170
Map to Bahen Building
3:15-3:45 Luis Santiago Moreno
The Equivariant Cuntz Semigroup
4:00-4:30 Dave Penneys
Subfactors at index 3+ √  5 
4:45-5:05 Evgenios Kakariadis
Isomorphism Invariants for Multivariable C*- dynamics
Rasmus Bentmann
Kirchberg X-algebras with real rank zero and intermediate cancellation
5:15-5:35 Paul Skoufranis
Closed Unitary and Similarity Orbits of Normal Operators in Purely Infinite C*-Algebras
Rory Lucyshyn-Wright
Riesz-Schwartz distributions and vector integration in closed categories
May 28, 2013
BA 1180
9:30-10:15 Nathanial Brown
The structure of simple operator algebras
10:15-10:45 Coffee
10:45-11:30 Dietmar Bisch
Subfactors with infinite representation theory
11:45-12:30 Matthew Kennedy
The Choquet boundary of an operator system
12:30-2:00 Lunch
2:00-2:45 Marcelo Laca
Equilibrium states and self similar actions
2:50-3:10 Michael Whittaker
KMS states for self-similar group actions
3:10-3:30 Coffee

Fields Institute, Room 230

- - -
[1]
The following is a DFT calculation (PBE with a Hubbard U) of an optimized crystal structure of Te7WCl5O. Values from VASP.

Its formation energy from the elements is -11.9 kcal/mol of atoms.

Cell and atoms, written as Quantum ESPRESSO input:
```
&SYSTEM
  ibrav = 0, nat = 56, ntyp = 4
/
ATOMIC_SPECIES
Cl 35.45 Cl.upf
O 16.00 O.upf
Te 127.60 Te.upf
W 183.84 W.upf
CELL_PARAMETERS angstrom
7.7806 0.0000 0.0000
0.0000 8.3618 0.0000
0.0000 0.0000 26.8515
ATOMIC_POSITIONS angstrom
Cl 1.9451 4.3069 13.4258
Cl 5.9017 6.5431 7.1560
Cl 5.9017 1.8188 6.2698
Cl 1.9451 4.0550 0.0000
Cl 5.7498 3.7243 17.7745
Cl 1.8595 3.7243 22.5028
Cl 5.8354 4.3069 0.0000
Cl 5.7691 6.5431 19.6955
Cl 1.8788 1.8188 19.6955
Cl 5.9211 3.7243 9.0770
Cl 5.7498 4.6376 22.5028
Cl 2.0114 1.8188 7.1560
Cl 5.9211 4.6376 4.3487
Cl 2.0308 3.7243 4.3487
Cl 1.8595 4.6376 17.7745
Cl 5.8354 4.0550 13.4258
Cl 2.0114 6.5431 6.2698
Cl 5.7691 1.8188 20.5818
Cl 1.8788 6.5431 20.5818
Cl 2.0308 4.6376 9.0770
O 4.0198 4.1809 6.7129
O 7.6510 4.1809 20.1387
O 0.1295 4.1809 6.7129
O 3.7607 4.1809 20.1387
Te 0.6973 0.5053 3.7582
Te 4.2238 6.0759 15.2739
Te 4.5876 7.8565 3.7582
Te 7.4470 6.0759 11.5777
Te 0.3335 2.2859 15.2739
Te 4.5738 1.8283 2.2653
Te 7.0832 7.8565 23.0933
Te 3.8903 0.0000 13.4258
Te 0.0000 0.0000 13.4258
Te 3.8903 0.0000 0.0000
Te 7.0971 1.8283 24.5862
Te 0.6835 6.5335 2.2653
Te 3.5568 6.0759 1.8481
Te 3.2068 6.5335 24.5862
Te 0.6835 1.8283 11.1604
Te 0.3335 6.0759 25.0034
Te 3.5568 2.2859 11.5777
Te 3.1929 7.8565 17.1840
Te 3.2068 1.8283 15.6911
Te 4.2238 2.2859 25.0034
Te 0.0000 0.0000 0.0000
Te 7.0971 6.5335 15.6911
Te 7.0832 0.5053 17.1840
Te 3.1929 0.5053 23.0933
Te 0.6973 7.8565 9.6676
Te 4.5738 6.5335 11.1604
Te 7.4470 2.2859 1.8481
Te 4.5876 0.5053 9.6676
W 6.0462 4.1809 6.7129
W 5.6247 4.1809 20.1387
W 1.7344 4.1809 20.1387
W 2.1559 4.1809 6.7129
```

[2]
The following is a DFT calculation (PBE with a Hubbard U) of an optimized crystal structure of TmWClO4. Values from VASP.

The excess energy over the best structure of this formula in the dataset comes out at 0.64 kJ per mole of atoms. Its formation energy from the elements is -61.5 kcal/mol of atoms.

Cell and atoms, written as Quantum ESPRESSO input:
```
&SYSTEM
  ibrav = 0, nat = 14, ntyp = 4
/
ATOMIC_SPECIES
O 16.00 O.upf
W 183.84 W.upf
Cl 35.45 Cl.upf
Tm 168.93 Tm.upf
CELL_PARAMETERS angstrom
4.8959 3.6344 -1.5479
4.8959 -3.6344 -1.5479
-0.0135 0.0000 -6.8997
ATOMIC_POSITIONS angstrom
O 7.8215 1.4030 -6.9655
O 1.9567 -1.4030 -3.0299
O 7.8215 -1.4030 -6.9655
O 0.4455 0.0000 -4.9766
O 2.0180 0.0000 -7.2694
O 7.7603 0.0000 -2.7261
O 9.3328 0.0000 -5.0189
O 1.9567 1.4030 -3.0299
W 1.3421 0.0000 -2.0292
W 8.4362 0.0000 -7.9663
Cl 4.7849 0.0000 -3.3757
Cl 4.9933 0.0000 -6.6197
Tm 7.0691 0.0000 -4.8818
Tm 2.7091 0.0000 -5.1137
```

[3]
The following is a DFT calculation (PBE with a Hubbard U) of an optimized crystal structure of TmWClO4. Values from VASP.
- - -

Fields Affiliated Activity
Distinguished Lecture Series Jean Pierre Serre

The Use of Algebraic Groups in Algebra and Number Theory
Wednesday May 29, 2013 BA 1180
9:30-10:15 Marius Dadarlat
Group C*-algebras, quasidiagonality and almost at bundles
10:15-10:45 Coffee
10:45-11:30 Leonel Robert
C*-algebras of finite nuclear dimension
11:45-12:30 Zhuang Niu
A classifcation of approximate subhomogeneous C*-algebras
12:30-evening Lunch and free afternoon
Fields Institute, Room 230
Fields Affiliated Activity
Distinguished Lecture Series Jean Pierre Serre

The Use of Algebraic Groups in Algebra and Number Theory


Reception and Dinner at the Faculty Club. (Cash bar from 6:00 p.m. on patio; Dinner in Main Dining Room at 7:00 p.m.)

May 30, 2013
BA 1180
9:30-10:15 Andrew Toms
Regularity properties for nuclear C*-algebras
10:15-10:45 Coffee
10:45-11:30 Bradd Hart
The model theory of R
11:45-12:30 Mikael Pichot
Sofic invariants of orbit equivalence
12:30-2:00 Lunch
2:00-2:45 Aaron Tikuisis
Dimension and tensorial absorption in C*-algebras
2:45-3:15 Coffee  
  BA 1180 BA 1190
3:15-4:00 Ping Wong Ng
The corona algebra of the stabilized Jiang-Su algebra
4:15-4:45 Farzad Fathizadeh
Curved Noncommutative Four-Tori And Extremums Of The Einstein-Hilbert Action
5:00-5:20 Franciszek Hugon Szafraniec
Looking for the target space of a would-be Hankel operator
Adam Fuller
Non-self-adjoint 2-graph algebras
5:30-5:50 Emily Redelmeier
Quaternionic Second-Order Freeness
Cristian Ivanescu
A Krein-Milman type theorem for non-unital dimension drop C*-algebras
May 31, 2013
BA 1180
9:30-10:15 Soren Eilers
Geometric classi cation of graph C*-algebras
10:15-10:45 Coffee
10:45-11:30 Berndt Brenken
C*-algebras of *-semigroups and the C*-algebra of a partial isometry
11:45-12:30 Man-Duen Choi
The Taming of the Shrew -- Who's afraid of Quantum Entanglements
12:30-2:00 Lunch
2:00-2:45 David Kribs
Quantum information via subsystems
2:45-3:15 Coffee
  BA 1180 BA 1170
3:15-4:00 Dilian Yang
The Hopf structure of some dual operator algebras
4:15-4:35 Haoxin Wang
The Russo-Dye Theorem in Nest Subalgebras of Factors
Raphaël Clouâtre
On the unilateral shift as a Hilbert module over the disc algebra
4:45-5:05 Sara Arklint
Closure properties for the class of Cuntz- Krieger algebras
Adam Sorensen
Almost commuting unitary matrices
5:15-5:35 Zhiqiang Li
A remark on the lifting problem for KK-elements between dimension drop algebras

Jamie Gabe
Classification of C*-algebras with primitive ideal space Ñ

    Koushik Ghosh
Corona theorem and its ramifications


Full Name University/Affiliation
Arklint, Sara University of Copenhagen
Barmherzig, David University of Toronto
Bentmann, Rasmus University of Copenhagen
Bice, Tristan York University
Bisch, Dietmar Vanderbilt University
Brenken, Berndt University of Calgary
Brown, Nathanial Pennsylvania State University
Choi, Man-Duen University of Toronto
Clouatre, Raphael Indiana University
Dadarlat, Marius Purdue University
Davidson, Kenneth University of Waterloo
Eilers, Søren University of Copenhagen
Elliott, George University of Toronto
Evans, David E. Cardiff University
Farah, Ilijas York University
Fathizadeh, Farzad University of Western Ontario
Fuller, Adam University of Nebraska - Lincoln
Gabe, James University of Copenhagen
Ghasemi, Saeed York University
Giordano, Thierry University of Ottawa
Gu, Yinzheng Queen's University
Handelman, David University of Ottawa
Hart, Bradd McMaster University
Hartz, Michael University of Waterloo
Hutchinson, George University of Waterloo
Ivanescu, Cristian MacEwan University
Kakariadis, Evgenios University of Waterloo
Kennedy, Matthew Carleton University
Kribs, David University of Guelph
Laca, Marcelo University of Victoria
Li, Boyu University of Waterloo
Li, Zhiqiang University of Toronto
Luchshyn-Wright, Rory York University
Lupini, Martino York University
Lutley, James University of Toronto
Marcoux, Laurent University of Waterloo
Mingo, James A. Queen's University
Ng, Ping Wong University of Louisiana at Lafayette
Niu, Zhuang University of Wyoming
Penneys, David University of Toronto
Pichot, Mikael McGill University
Rainone, Timothy Texas A&M University
Redelmeier, Emily Université Paris-Sud XI
Reznikoff, Sarah Kansas State University
Robert, Leonel University of Louisiana at Lafayette
Ruan, Zhong-Jin University of Illinois at Urbana-Champaign
Santiago, Luis University of Oregon
Skoufranis, Paul University of California, Los Angeles
Sørensen, Adam University of Wollongong
Szafraniec, Franciszek Hugon Uniwersytet Jagiellonski
Tikuisis, Aaron University of Aberdeen
Toms, Andrew Purdue University
Vignati, Alessandro York University
Viola, Maria Grazia Lakehead University-Orillia
Wang, Haoxin Nanjing University of Science and Technology
Watson, Nicola University of Toronto
Whittaker, Michael University of Wollongong
Yang, Dilian University of Windsor

